**Request**
Copy the whole of the data underneath verbatim, please.

**Material**
Record 1
An optimized crystal structure of Tb5RhBr9. Source: the Materials Project database, functional PBE.

Results
Space-group type   No. 88
Formation energy   -1987 meV per atom
Calculated volume   3915.81 Å³/cell
Total moment   0.0 μB/f.u.

CIF file:
```
data_Tb5RhBr9
_symmetry_space_group_name_H-M 'P 1'
_symmetry_Int_Tables_number 1
_cell_length_a 24.933
_cell_length_b 24.933
_cell_length_c 24.933
_cell_angle_alpha 149.78
_cell_angle_beta 149.78
_cell_angle_gamma 43.26
loop_
_symmetry_equiv_pos_as_xyz
'x,y,z'
loop_
_atom_site_label
_atom_site_type_symbol
_atom_site_fract_x
_atom_site_fract_y
_atom_site_fract_z
Tb1 Tb 0.015 0.868 0.450
Tb2 Tb 0.020 0.048 0.879
Tb3 Tb 0.065 0.515 0.647
Tb4 Tb 0.082 0.435 0.950
Tb5 Tb 0.108 0.322 0.238
Tb6 Tb 0.146 0.084 0.154
Tb7 Tb 0.178 0.916 0.786
Tb8 Tb 0.250 0.207 0.141
Tb9 Tb 0.293 0.934 0.042
Tb10 Tb 0.331 0.859 0.379
Tb11 Tb 0.359 0.480 0.528
Tb12 Tb 0.368 0.418 0.853
Tb13 Tb 0.370 0.608 0.286
Tb14 Tb 0.391 0.250 0.458
Tb15 Tb 0.416 0.069 0.062
Tb16 Tb 0.416 0.130 0.738
Tb17 Tb 0.431 0.993 0.346
Tb18 Tb 0.434 0.891 0.641
Tb19 Tb 0.452 0.831 0.972
Tb20 Tb 0.493 0.646 0.562
Tb21 Tb 0.507 0.354 0.438
Tb22 Tb 0.548 0.169 0.028
Tb23 Tb 0.566 0.109 0.359
Tb24 Tb 0.569 0.007 0.654
Tb25 Tb 0.584 0.870 0.262
Tb26 Tb 0.584 0.931 0.938
Tb27 Tb 0.609 0.750 0.542
Tb28 Tb 0.630 0.392 0.714
Tb29 Tb 0.632 0.582 0.147
Tb30 Tb 0.641 0.520 0.472
Tb31 Tb 0.669 0.141 0.621
Tb32 Tb 0.707 0.066 0.958
Tb33 Tb 0.750 0.793 0.859
Tb34 Tb 0.822 0.084 0.214
Tb35 Tb 0.854 0.916 0.846
Tb36 Tb 0.892 0.678 0.762
Tb37 Tb 0.918 0.565 0.050
Tb38 Tb 0.935 0.485 0.353
Tb39 Tb 0.980 0.952 0.121
Tb40 Tb 0.985 0.132 0.550
Rh1 Rh 0.214 0.139 0.158
Rh2 Rh 0.361 0.019 0.075
Rh3 Rh 0.444 0.286 0.425
Rh4 Rh 0.481 0.056 0.342
Rh5 Rh 0.519 0.944 0.658
Rh6 Rh 0.556 0.714 0.575
Rh7 Rh 0.639 0.981 0.925
Rh8 Rh 0.786 0.861 0.842
Br1 Br 0.004 0.477 0.666
Br2 Br 0.023 0.189 0.527
Br3 Br 0.026 0.382 0.965
Br4 Br 0.036 0.283 0.253
Br5 Br 0.042 0.096 0.824
Br6 Br 0.057 0.023 0.141
Br7 Br 0.079 0.830 0.724
Br8 Br 0.083 0.938 0.465
Br9 Br 0.103 0.770 0.059
Br10 Br 0.107 0.673 0.342
Br11 Br 0.118 0.583 0.645
Br12 Br 0.145 0.421 0.251
Br13 Br 0.162 0.496 0.973
Br14 Br 0.169 0.235 0.842
Br15 Br 0.173 0.331 0.566
Br16 Br 0.212 0.045 0.441
Br17 Br 0.217 0.970 0.753
Br18 Br 0.227 0.873 0.050
Br19 Br 0.229 0.783 0.324
Br20 Br 0.265 0.607 0.934
Br21 Br 0.270 0.712 0.667
Br22 Br 0.283 0.458 0.554
Br23 Br 0.283 0.536 0.253
Br24 Br 0.311 0.338 0.834
Br25 Br 0.323 0.177 0.450
Br26 Br 0.323 0.273 0.146
Br27 Br 0.330 0.106 0.751
Br28 Br 0.373 0.823 0.646
Br29 Br 0.382 0.916 0.359
Br30 Br 0.394 0.645 0.224
Br31 Br 0.404 0.729 0.946
Br32 Br 0.416 0.557 0.534
Br33 Br 0.438 0.474 0.855
Br34 Br 0.455 0.397 0.167
Br35 Br 0.470 0.217 0.753
Br36 Br 0.477 0.118 0.034
Br37 Br 0.523 0.882 0.966
Br38 Br 0.530 0.783 0.247
Br39 Br 0.545 0.603 0.833
Br40 Br 0.562 0.526 0.145
Br41 Br 0.584 0.443 0.466
Br42 Br 0.596 0.271 0.054
Br43 Br 0.606 0.355 0.776
Br44 Br 0.618 0.084 0.641
Br45 Br 0.627 0.177 0.354
Br46 Br 0.670 0.894 0.249
Br47 Br 0.677 0.727 0.854
Br48 Br 0.677 0.823 0.550
Br49 Br 0.689 0.662 0.166
Br50 Br 0.717 0.464 0.747
Br51 Br 0.717 0.542 0.446
Br52 Br 0.730 0.288 0.333
Br53 Br 0.735 0.393 0.066
Br54 Br 0.771 0.217 0.676
Br55 Br 0.773 0.127 0.950
Br56 Br 0.783 0.030 0.247
Br57 Br 0.788 0.955 0.559
Br58 Br 0.827 0.669 0.434
Br59 Br 0.831 0.765 0.158
Br60 Br 0.838 0.504 0.027
Br61 Br 0.855 0.579 0.749
Br62 Br 0.882 0.417 0.355
Br63 Br 0.893 0.327 0.658
Br64 Br 0.897 0.230 0.941
Br65 Br 0.917 0.062 0.535
Br66 Br 0.921 0.170 0.276
Br67 Br 0.943 0.977 0.859
Br68 Br 0.958 0.904 0.176
Br69 Br 0.964 0.717 0.747
Br70 Br 0.974 0.618 0.035
Br71 Br 0.977 0.811 0.473
Br72 Br 0.996 0.523 0.334
```

Record 2
An optimized crystal structure of Tb6RhBr10. Source: the Materials Project database, functional PBE.

Results
Space-group type   No. 2
Formation energy   -1929 meV per atom
Calculated volume   569.32 Å³/cell

CIF file:
```
data_Tb6RhBr10

**Worked solution**
Record 1
An optimized crystal structure of Tb5RhBr9. Source: the Materials Project database, functional PBE.

Results
Space-group type   No. 88
Formation energy   -1987 meV per atom
Calculated volume   3915.81 Å³/cell
Total moment   0.0 μB/f.u.

CIF file:
```
data_Tb5RhBr9
_symmetry_space_group_name_H-M 'P 1'
_symmetry_Int_Tables_number 1
_cell_length_a 24.933
_cell_length_b 24.933
_cell_length_c 24.933
_cell_angle_alpha 149.78
_cell_angle_beta 149.78
_cell_angle_gamma 43.26
loop_
_symmetry_equiv_pos_as_xyz
'x,y,z'
loop_
_atom_site_label
_atom_site_type_symbol
_atom_site_fract_x
_atom_site_fract_y
_atom_site_fract_z
Tb1 Tb 0.015 0.868 0.450
Tb2 Tb 0.020 0.048 0.879
Tb3 Tb 0.065 0.515 0.647
Tb4 Tb 0.082 0.435 0.950
Tb5 Tb 0.108 0.322 0.238
Tb6 Tb 0.146 0.084 0.154
Tb7 Tb 0.178 0.916 0.786
Tb8 Tb 0.250 0.207 0.141
Tb9 Tb 0.293 0.934 0.042
Tb10 Tb 0.331 0.859 0.379
Tb11 Tb 0.359 0.480 0.528
Tb12 Tb 0.368 0.418 0.853
Tb13 Tb 0.370 0.608 0.286
Tb14 Tb 0.391 0.250 0.458
Tb15 Tb 0.416 0.069 0.062
Tb16 Tb 0.416 0.130 0.738
Tb17 Tb 0.431 0.993 0.346
Tb18 Tb 0.434 0.891 0.641
Tb19 Tb 0.452 0.831 0.972
Tb20 Tb 0.493 0.646 0.562
Tb21 Tb 0.507 0.354 0.438
Tb22 Tb 0.548 0.169 0.028
Tb23 Tb 0.566 0.109 0.359
Tb24 Tb 0.569 0.007 0.654
Tb25 Tb 0.584 0.870 0.262
Tb26 Tb 0.584 0.931 0.938
Tb27 Tb 0.609 0.750 0.542
Tb28 Tb 0.630 0.392 0.714
Tb29 Tb 0.632 0.582 0.147
Tb30 Tb 0.641 0.520 0.472
Tb31 Tb 0.669 0.141 0.621
Tb32 Tb 0.707 0.066 0.958
Tb33 Tb 0.750 0.793 0.859
Tb34 Tb 0.822 0.084 0.214
Tb35 Tb 0.854 0.916 0.846
Tb36 Tb 0.892 0.678 0.762
Tb37 Tb 0.918 0.565 0.050
Tb38 Tb 0.935 0.485 0.353
Tb39 Tb 0.980 0.952 0.121
Tb40 Tb 0.985 0.132 0.550
Rh1 Rh 0.214 0.139 0.158
Rh2 Rh 0.361 0.019 0.075
Rh3 Rh 0.444 0.286 0.425
Rh4 Rh 0.481 0.056 0.342
Rh5 Rh 0.519 0.944 0.658
Rh6 Rh 0.556 0.714 0.575
Rh7 Rh 0.639 0.981 0.925
Rh8 Rh 0.786 0.861 0.842
Br1 Br 0.004 0.477 0.666
Br2 Br 0.023 0.189 0.527
Br3 Br 0.026 0.382 0.965
Br4 Br 0.036 0.283 0.253
Br5 Br 0.042 0.096 0.824
Br6 Br 0.057 0.023 0.141
Br7 Br 0.079 0.830 0.724
Br8 Br 0.083 0.938 0.465
Br9 Br 0.103 0.770 0.059
Br10 Br 0.107 0.673 0.342
Br11 Br 0.118 0.583 0.645
Br12 Br 0.145 0.421 0.251
Br13 Br 0.162 0.496 0.973
Br14 Br 0.169 0.235 0.842
Br15 Br 0.173 0.331 0.566
Br16 Br 0.212 0.045 0.441
Br17 Br 0.217 0.970 0.753
Br18 Br 0.227 0.873 0.050
Br19 Br 0.229 0.783 0.324
Br20 Br 0.265 0.607 0.934
Br21 Br 0.270 0.712 0.667
Br22 Br 0.283 0.458 0.554
Br23 Br 0.283 0.536 0.253
Br24 Br 0.311 0.338 0.834
Br25 Br 0.323 0.177 0.450
Br26 Br 0.323 0.273 0.146
Br27 Br 0.330 0.106 0.751
Br28 Br 0.373 0.823 0.646
Br29 Br 0.382 0.916 0.359
Br30 Br 0.394 0.645 0.224
Br31 Br 0.404 0.729 0.946
Br32 Br 0.416 0.557 0.534
Br33 Br 0.438 0.474 0.855
Br34 Br 0.455 0.397 0.167
Br35 Br 0.470 0.217 0.753
Br36 Br 0.477 0.118 0.034
Br37 Br 0.523 0.882 0.966
Br38 Br 0.530 0.783 0.247
Br39 Br 0.545 0.603 0.833
Br40 Br 0.562 0.526 0.145
Br41 Br 0.584 0.443 0.466
Br42 Br 0.596 0.271 0.054
Br43 Br 0.606 0.355 0.776
Br44 Br 0.618 0.084 0.641
Br45 Br 0.627 0.177 0.354
Br46 Br 0.670 0.894 0.249
Br47 Br 0.677 0.727 0.854
Br48 Br 0.677 0.823 0.550
Br49 Br 0.689 0.662 0.166
Br50 Br 0.717 0.464 0.747
Br51 Br 0.717 0.542 0.446
Br52 Br 0.730 0.288 0.333
Br53 Br 0.735 0.393 0.066
Br54 Br 0.771 0.217 0.676
Br55 Br 0.773 0.127 0.950
Br56 Br 0.783 0.030 0.247
Br57 Br 0.788 0.955 0.559
Br58 Br 0.827 0.669 0.434
Br59 Br 0.831 0.765 0.158
Br60 Br 0.838 0.504 0.027
Br61 Br 0.855 0.579 0.749
Br62 Br 0.882 0.417 0.355
Br63 Br 0.893 0.327 0.658
Br64 Br 0.897 0.230 0.941
Br65 Br 0.917 0.062 0.535
Br66 Br 0.921 0.170 0.276
Br67 Br 0.943 0.977 0.859
Br68 Br 0.958 0.904 0.176
Br69 Br 0.964 0.717 0.747
Br70 Br 0.974 0.618 0.035
Br71 Br 0.977 0.811 0.473
Br72 Br 0.996 0.523 0.334
```

Record 2
An optimized crystal structure of Tb6RhBr10. Source: the Materials Project database, functional PBE.

Results
Space-group type   No. 2
Formation energy   -1929 meV per atom
Calculated volume   569.32 Å³/cell

CIF file:
```
data_Tb6RhBr10